Wednesday, March 24, 2010

Got Milk?

**These data records were left in the piece by mistake:**
#a
Entry from the Alexandria database: an optimized crystal structure of AcNd2Sm8 (PBE-GGA).

a b c (Å): 9.073 9.073 6.892
angles (deg): 98.29 98.29 44.45
Atoms (fractional coordinates):
Ac 0.000 0.000 0.000
Nd 0.210 0.210 0.790
Nd 0.790 0.790 0.210
Sm 0.177 0.640 0.578
Sm 0.240 0.240 0.293
Sm 0.360 0.823 0.422
Sm 0.410 0.410 0.087
Sm 0.590 0.590 0.913
Sm 0.640 0.177 0.578
Sm 0.760 0.760 0.707
Sm 0.823 0.360 0.422

Total moment   0.0000 μB per atom

=====

#b
Entry from the Alexandria database: an optimized crystal structure of AcNd2Sm8 (PBE-GGA).

a b c (Å): 9.620 9.620 9.620
angles (deg): 145.91 127.65 63.96
Atoms (fractional coordinates):
Ac 0.000 0.000 0.000
Nd 0.300 0.300 0.000
Nd 0.700 0.700 0.000
Sm 0.153 0.856 0.297
Sm 0.159 0.659 0.500
Sm 0.297 0.500 0.797
Sm 0.440 0.144 0.297
Sm 0.560 0.856 0.703
Sm 0.703 0.500 0.203
Sm 0.841 0.341 0.500
Sm 0.847 0.144 0.703

Total moment   0.0000 μB per atom

=====

Of them, #a has the lowest stability.

=====

#a
Entry from the Alexandria database: an optimized crystal structure of Ac4Nd3Sm2 (PBE-GGA).

a b c (Å): 3.818 3.818 28.301
angles (deg): 90.00 90.00 120.00
Atoms (fractional coordinates):
Ac 0.000 0.000 0.000
Ac 0.000 0.000 0.220
Ac 0.333 0.667 0.339
Ac 0.333 0.667 0.560
Nd 0.000 0.000 0.449
Nd 0.333 0.667 0.108
Nd 0.333 0.667 0.773
Sm 0.000 0.000 0.669
Sm 0.000 0.000 0.873

Total moment   0.0005 μB per atom

=====

#b
Entry from the Alexandria database: an optimized crystal structure of Ac4Nd3Sm2 (PBE-GGA).

a b c (Å): 5.439 6.530 11.405
angles (deg): 74.39 89.98 65.47
Atoms (fractional coordinates):
Ac 0.003 0.494 0.332
Ac 0.333 0.833 0.111
Ac 0.667 0.167 0.889
Ac 0.997 0.506 0.668
Nd 0.000 0.500 0.000
Nd 0.334 0.831 0.448
Nd 0.666 0.169 0.552
Sm 0.329 0.841 0.773
Sm 0.671 0.159 0.227

Total moment   0.0000 μB per atom

=====

Of them, #a has the lowest stability.

----------

First-principles (GGA-PBE) data for crystalline AlZnCrRh2 at its relaxed geometry, as listed in the Alexandria database.

It has space group P4/mmm (No. 123), with a = 4.451 Å, b = 4.451 Å, c = 4.594 Å, α = 90.00°, β = 90.00° and γ = 90.00°. The asymmetric unit holds Al at (0.000, 0.000, 0.000), Zn at (0.500, 0.500, 0.500), Cr at (0.000, 0.000, 0.500) and Rh at (0.000, 0.500, 0.000).

Its volume is 91.0 Å³/cell. Its size of the total moment is 4.5 μB per cell. Its energy of formation is 3.13 eV/f.u.
**Here the piece continues:**

This is what happens when you choose not to go with the sippy cup AND turn your back for 5 minutes!! I'm not sure what her hands were doing, praying or trying to make her look cute. I was not amused!

Thursday, March 18, 2010

Out of luck!

Chase has been really interested in Leprechauns this year, so after reading countless books about them we decided to build a trap to catch one! We know they like green and gold, they love pennies, and of course they love to break the rules! They are very tricky and only come out at night. We also know they are very small. So all the kids helped make this elaborate trap to catch this leprechaun so we could have his gold. They called it gold Mt. It had a rock climbing wall with a sign that clearly stated "Danger, keep off rocks!". We knew that leprechaun would not be able to resist since they love to break the rules. At the top we had some fake gold (Rolos) and a trap door he would fall through and be trapped!! It was a great plan! But, in the morning we found....
That messy leprechaun had left a trail of gold and glitter all over our house. We knew exactly where he went because he left quite the trail! No leprechaun in the box, and he had left each of them a pot of...
Poop! Yes he left a note in each of these pots that read:
He he he you didn't catch me!
Jokes on you, all you caught was
Leprechaun poo!!!
That tricky guy! He did leave some green treats for the kids, and he also left some Lucky Charms!
The kids had so much fun collecting coins and trying to figure out how he got out of that box! It was a fun day! Hope none of you got pinched!
Happy St. Patricks day! Chase is already planning his trap for next year!

Thursday, March 11, 2010

Love notes

Don't kids just grow up to fast these days? Yesterday when I opened Chase's preschool folder I found a whole stack full of pictures/names his girl friends from school had made him. When I asked him about them he was annoyed that they wanted him to make them pictures as well. I thought it was too funny! It starts all to young doesn't it?

Wednesday, March 3, 2010

Do YOU like green eggs and ham?

Everyone who has a school aged child knows that yesterday was Dr. Seuss' birthday. Chase learned about this at school, and read some of his books...I had something planned for later that night! Oh yes, green eggs and ham! I set the table with a title appropriate for such a meal and put out some books as well. We read the book before dinner (the kids had no idea what was going to be for dinner).I also had put all kinds of questions from the book all over the table and even taped some under the plates to find when the meal was over.
Chase was unsure when he came for dinner, taking a good whiff. Chase do you like green eggs and ham?
Try them! Try them!
And you may.
Try them and you may I say!
If you let me be,
I will try them.
You will see.
I like green eggs and ham!
I do! I like them Sam-I-am!
Kelsey likes green eggs and ham!
Sadi do you like green eggs and ham?That Sam-I-am!
That Sam-I-am!
I do not like that Sam-I-am!
You do not like green eggs and ham?
I do not like them Sam-I-am!
I do not like green eggs and ham!
A fun night! Hey I give them all props for at least trying them, to be honest they really did not look that appealing but they tasted good! Happy Birthday Dr. Seuss!!

Tuesday, March 2, 2010

We're "them"

March 2, it has now been 66 days since Christmas did you know? It is now official we have become "those" people. I am talking about the people in the neighborhood who have still NOT taken the Christmas lights down (you know you who they are right?). I really am not a nagger (shocking I know). I commented once after Christmas that "hey don't you think it's time the lights come down?". I was assured it would get done. I have since watched each and every neighbor, including the elderly couple across the street take their Christmas lights down while ours are still up! I guess I should be at least grateful the light up deer FINALLY made it at least into the garage in February! I'm thinking of lighting them up one night before Matt gets home from work, think he would get the message then? Until then, I will see this everytime we come home....